What is your take on high efficient speakers vs. low efficient speakers?

Consider both designs are done right and your other equipment is well matched with the speakers.  Do you have any preference when it comes to sound quality?  Is it matter of economic decision when it comes to price? - power amps can become very expensive when power goes up, on the other hand large,  efficient speakers are expensive as well.  Is your decision based on room size?  I'd love to hear from you on the subject. 


Showing 8 responses by alexberger

Hi @sns ,

You mentioned a very important question.
Most low power DSET (45, 2a3, 300b,...) made today and before designed for very easy load and very hight sensitivity speakers file full range Lowther, Fostex, Voxativ,...
But in therm of pik volume these amplifiers can work for midsize room and ~95dB sensitivity speakers like big JBLs and Tannoys. But in the real live they don’t work properly even with more sensitive Klipsch and vintage Altec speakers.
The main design issue is weak power supply and weak driver tubes. The only SET amplifier I know (probably there are another) that don’t have these issues is Coincident Frankenstein.

I have been using a good DIY 300B DSET (6sn7 input, 6f6 driver) since 2006 with Altec 604E. This combination played nice but it had pronounced genre preferences. It was good for small jazz and classical groups, great for vocals but disaster for any kind of electronic music, rock, fusion jazz.
When I increased capacitors value and quality (oil capacitors) in the power supply and divided the right and left channels PS by resistors. It dramatically improved bass, dynamics and separation on bass heavy complicated, congested music. My solution is not optimal as my stereo amplifier uses one power transformer, rectifier and choke. Monoblock solution should be significantly better.
But the bottom line - the main issue in DSET in combination with big woofer 15" speakers is not lack of power but lack of ability to produce enough current. And the reason for this is not enough powerful power supplies. To drive 15" speakers some audiophiles go in the direction of big 845, 211 DSETs, but I’m not sure that this solution is the only one. 2a3 or 300B with a good big power supply can be another very good and more affordable one.



The critical distance for medium size room at 1KHz less then 2m. Actually 2m is the worst case. 

So, the pik volume can generate the system with 300B amplifier is -

spikers sensitivity + 9db (8w) - 3db (2m critical distance) + 3db (two speakers).

For example for 95dB speakers we get at least 104dB.

You can get "absolutely sound" with SET.

For example, 300B SET and ~95dB sensitivity 15" JBL or Tannoy in medium size room. If 300B SET build properly you can get enough dynamic headroom for any kind of music. From small jazz to symphonic music and rock.

The problem is - 99% of SET amplifiers designed and built for Lowther like speakers.

Hi @bache ,

The question: what is high sensitivity? Yes I agree. For real high sensitivity let say 98dB and up it is an issue. For a 15" driver with 94dB sensitivity bass can be good down to 35-40Hz. 




Hi @bache ,

Yes, sensitive speakers do not play bass below 30-40Hz. But this is a compromise with the texture in the middle bass and lower mids, which is absent in dull speakers with low sensitivity.



Hi @mijostyn ,

My SET amp plays down to 7Hz -3dB. And plays bass much more in real, natural way compared to any other amplifier I had before.

Experience DIYer can built SET amplifier that sounds better than most of amplifiers available on the market. It wouldn't be cheap but such amplifier can't be bought by any money and it will be tweaked and tuned to special speakers and person.
It's way more effective than cable lifters (despite cable lifter works).



My friend is a DIY speakers builder. He also fixes drivers.

[The page is interrupted by calculated crystals]
## Dy3Mg (GGA-PBE)

Data for a relaxed Dy3Mg crystal.

Output
Its calculated formation energy is -0.02 eV per atom. Its theoretical density is 7.2 g cm⁻³.

Lattice parameters (Å, degrees): 3.5465 3.5465 9.4160 90.00 90.00 90.00
Closest atoms and distances in Å follow each position.
Atoms (fractional coordinates):
1 Dy 0.0000 0.0000 0.5000  12 Dy 3.50-3.55
2 Dy 0.5000 0.5000 0.2401  4 Mg 3.38, 8 Dy 3.50-3.55
3 Mg 0.0000 0.0000 0.0000  8 Dy 3.38, 4 Mg 3.55
4 Dy 0.5000 0.5000 0.7599  4 Mg 3.38, 8 Dy 3.50-3.55

## Sr5CeNd3Cu4PbO18 (GGA-PBE)

Data for a relaxed Sr5CeNd3Cu4PbO18 crystal.

Output
Its calculated formation energy is -2.61 eV per atom. The calculation puts the total magnetization at 0.040 μB/atom. Its theoretical density is 6.4 g cm⁻³. For the MP2020-corrected energy, the calculation gives -6.916 eV per atom.

Lattice parameters (Å, degrees): 15.4211 15.4211 5.4762 90.00 90.00 159.53
Closest atoms and distances in Å follow each position.
Atoms (fractional coordinates):
1 O 0.4072 0.1046 0.2506  2 Cu 1.92-1.98
2 O 0.8954 0.5928 0.2506  2 Cu 1.92-1.98
3 O 0.9932 0.4960 0.2445  1 Ce 2.24, 3 Nd 2.36
4 Sr 0.4122 0.5878 0.0000  9 O 2.67-2.79
5 O 0.9932 0.4960 0.7555  1 Ce 2.24, 3 Nd 2.36
6 O 0.5040 0.0068 0.2445  1 Ce 2.24, 3 Nd 2.36
7 Nd 0.2931 0.7069 0.0000  8 O 2.36-2.58
8 Sr 0.9122 0.0878 0.5000  9 O 2.67-2.79
9 Cu 0.6466 0.3534 0.5000  4 O 1.92
10 Pb 0.5000 0.5000 0.5000  2 O 2.13
11 Cu 0.8578 0.1422 0.0000  5 O 1.98-1.99
12 Nd 0.2061 0.7939 0.5000  8 O 2.36-2.57
13 Cu 0.3541 0.6459 0.5000  4 O 1.92
14 O 0.5961 0.8973 0.7467  2 Cu 1.92-1.98
15 O 0.0767 0.9233 0.0000  1 Cu 2.01
16 Cu 0.1429 0.8571 0.0000  5 O 1.98-2.01
17 Sr 0.0000 0.0000 0.0000  2 O 2.33
18 O 0.5701 0.4299 0.5000  1 Pb 2.13, 1 Cu 2.32
19 O 0.4299 0.5701 0.5000  1 Pb 2.13, 1 Cu 2.30
20 Nd 0.7931 0.2069 0.5000  8 O 2.36-2.58
21 O 0.8954 0.5928 0.7494  2 Cu 1.92-1.98
22 O 0.1027 0.4039 0.2533  2 Cu 1.92-1.98
23 O 0.4072 0.1046 0.7494  2 Cu 1.92-1.98
24 O 0.5000 0.5000 0.0000  4 Sr 2.67-2.74, 2 Pb 2.74
25 Ce 0.7091 0.2909 0.0000  4 O 2.24
26 O 0.1027 0.4039 0.7467  2 Cu 1.92-1.98
27 O 0.5040 0.0068 0.7555  1 Ce 2.24, 3 Nd 2.36
28 O 0.5961 0.8973 0.2533  2 Cu 1.92-1.98
29 O 0.9233 0.0767 0.0000  1 Cu 1.99
30 Sr 0.5880 0.4120 0.0000  9 O 2.67-2.79
31 Sr 0.0873 0.9127 0.5000  9 O 2.64-2.79
32 O 0.0002 0.9998 0.5000  4 Sr 2.64-2.74, 2 Pb 2.74

## NdAl11O18 (GGA-PBE)

Data for a relaxed NdAl11O18 crystal.

Output
Its calculated formation energy is -3.37 eV per atom. The calculation puts the total magnetization at 0.000 μB/atom. Its theoretical density is 3.9 g cm⁻³. For the MP2020-corrected energy, the calculation gives -7.876 eV per atom. The relative energy among the computed polymorphs is 0.00 eV/f.u.

Lattice parameters (Å, degrees): 5.6090 11.6733 5.7718 106.13 59.39 104.49
Closest atoms and distances in Å follow each position.
Atoms (fractional coordinates):
1 O 0.1105 0.2870 0.6041  3 Al 1.81-1.84
2 O 0.3879 0.6950 0.9089  3 Al 1.85-1.90

He had and measured dozens different 15' driver JBL, Tannoy, Altec,... He says the maximal sensitivity of 15' driver in vented box (of any size) at 100Hz is 94-95dB. Some 15' drivers like Altec have higher sensitivity around 200-300Hz but it drops to 95dB at 100Hz. 10'-12' have even smaller sensitivity at 100Hz.


In my experience, each pair of speakers that isn't driven easily by 30 Watt amplifier - sounds too compressed to me.

And it easy to explain. When you put dozens watts on speakers voice coil - it overheats that leads to very sever and clearly listened compression.